-- Material --
/*
No. 1
For CePrTlSn, a crystal structure in Alexandria, relaxed with GGA-PBE gives the calculated powder diffractogram in this record (CuKα).
Peak positions follow from Bragg's law for the DFT cell and can differ from measured ones.

Most intense lines, 15° ≤ 2θ ≤ 90°, sorted by position:
- hkl 1 1 0, 2θ = 30.68°, rel. 65
- hkl 1 0 2, 2θ = 33.77°, rel. 100
- hkl 2 0 0, 2θ = 43.95°, rel. 24
- hkl 0 0 4, 2θ = 52.76°, rel. 7
- hkl 2 1 2, 2θ = 56.55°, rel. 46
- hkl 1 1 4, 2θ = 62.28°, rel. 17
- hkl 2 2 0, 2θ = 63.90°, rel. 8
- hkl 2 0 4, 2θ = 71.03°, rel. 12
- hkl 3 1 0, 2θ = 72.54°, rel. 11
- hkl 3 0 2, 2θ = 74.26°, rel. 10
- hkl 2 2 4, 2θ = 87.41°, rel. 7
- hkl 1 0 6, 2θ = 87.62°, rel. 7

```
data_CePrTlSn
_cell_length_a 4.121
_cell_length_b 4.121
_cell_length_c 6.940
_cell_angle_alpha 90.00
_cell_angle_beta 90.00
_cell_angle_gamma 90.00
_space_group_name_H-M_alt 'P 4 m m'
_space_group_IT_number 99
loop_
_space_group_symop_operation_xyz
'x,y,z'
'-y,x,z'
'-x,-y,z'
'y,-x,z'
'-x,y,z'
'y,x,z'
'x,-y,z'
'-y,-x,z'
loop_
_atom_site_label
_atom_site_type_symbol
_atom_site_fract_x
_atom_site_fract_y
_atom_site_fract_z
_atom_site_occupancy
Ce1 Ce 0.000 0.000 0.000 1
Pr1 Pr 0.000 0.000 0.479 1
Tl1 Tl 0.500 0.500 0.740 1
Sn1 Sn 0.500 0.500 0.236 1
```

---

No. 2
For SrCe2Pr, a crystal structure in Alexandria, relaxed with GGA-PBE gives the calculated powder diffractogram in this record (CuKα).
Peak positions follow from Bragg's law for the DFT cell and can differ from measured ones.

Most intense lines, 15° ≤ 2θ ≤ 90°, sorted by position:
- hkl 0 0 12, 2θ = 27.51°, rel. 72
- hkl 1 0 1, 2θ = 28.97°, rel. 28
- hkl 0 1 2, 2θ = 29.25°, rel. 100
- hkl 0 1 5, 2θ = 31.13°, rel. 71
- hkl 1 0 7, 2θ = 33.16°, rel. 35
- hkl 1 0 10, 2θ = 37.15°, rel. 91
- hkl 0 1 11, 2θ = 38.69°, rel. 20
- hkl 0 1 17, 2θ = 49.56°, rel. 20
- hkl 1 1 0, 2θ = 51.18°, rel. 45
- hkl 1 1 12, 2θ = 59.09°, rel. 50
- hkl 1 0 22, 2θ = 60.30°, rel. 27
- hkl 0 2 10, 2θ = 64.92°, rel. 18

```
data_SrCe2Pr
_cell_length_a 3.5695
_cell_length_b 3.5695
_cell_length_c 38.9006
_cell_angle_alpha 90.00
_cell_angle_beta 90.00
_cell_angle_gamma 120.00
_space_group_name_H-M_alt 'R -3 m'
_space_group_IT_number 166
_space_group_name_Hall '-R 3 2"'
loop_
_atom_site_label
_atom_site_type_symbol
_atom_site_fract_x
_atom_site_fract_y
_atom_site_fract_z
_atom_site_occupancy
Sr1 Sr 0.0000 0.0000 0.0000 1
Ce1 Ce 0.0000 0.0000 0.0902 1
Pr1 Pr 0.0000 0.0000 0.5000 1
```

---

No. 3
For Tb6CePr10, a crystal structure in Alexandria, relaxed with GGA-PBE gives the calculated powder diffractogram in this record (CuKα).
Peak positions follow from Bragg's law for the DFT cell and can differ from measured ones.

Most intense lines, 15° ≤ 2θ ≤ 90°, sorted by position:
- hkl 2 0 1, 2θ = 24.32°, rel. 9
- hkl 3 -1 1, 2θ = 30.34°, rel. 44
- hkl 3 0 0, 2θ = 31.22°, rel. 79
- hkl 1 1 2, 2θ = 31.32°, rel. 100
- hkl 4 -1 1, 2θ = 39.96°, rel. 10
- hkl 4 -2 2, 2θ = 44.81°, rel. 26
- hkl 3 2 1, 2θ = 47.93°, rel. 14
- hkl 4 -1 3, 2θ = 55.14°, rel. 8
- hkl 4 1 2, 2θ = 55.60°, rel. 24
- hkl 2 -1 4, 2θ = 55.81°, rel. 18
- hkl 6 -2 1, 2θ = 58.32°, rel. 9
- hkl 6 -1 1, 2θ = 61.51°, rel. 11

```
data_Tb6CePr10
_cell_length_a 9.9260
_cell_length_b 9.9260
_cell_length_c 6.9845
_cell_angle_alpha 90.00
_cell_angle_beta 90.00
_cell_angle_gamma 120.00
_space_group_name_H-M_alt 'P -3 1 m'
_space_group_IT_number 162
_space_group_name_Hall '-P 3 2'
loop_
_atom_site_label
_atom_site_type_symbol
_atom_site_fract_x
_atom_site_fract_y
_atom_site_fract_z
_atom_site_occupancy
Tb1 Tb 0.0000 0.3710 0.3080 1
Ce1 Ce 0.0000 0.0000 0.5000 1
Pr1 Pr 0.0000 0.2728 0.8146 1
Pr2 Pr 0.3333 0.6667 0.0000 1
Pr3 Pr 0.3333 0.6667 0.5000 1
```

---

No. 4
For Tb5CePr6, a crystal structure in Alexandria, relaxed with GGA-PBE gives the calculated powder diffractogram in this record (CuKα).
Peak positions follow from Bragg's law for the DFT cell and can differ from measured ones.

Most intense lines, 15° ≤ 2θ ≤ 90°, sorted by position:
*/
-- Activity --
What is needed: start at the top of the entries earlier on and give back each line, ending with the one that has "Tb1 Tb".
-- Reply --
No. 1
For CePrTlSn, a crystal structure in Alexandria, relaxed with GGA-PBE gives the calculated powder diffractogram in this record (CuKα).
Peak positions follow from Bragg's law for the DFT cell and can differ from measured ones.

Most intense lines, 15° ≤ 2θ ≤ 90°, sorted by position:
- hkl 1 1 0, 2θ = 30.68°, rel. 65
- hkl 1 0 2, 2θ = 33.77°, rel. 100
- hkl 2 0 0, 2θ = 43.95°, rel. 24
- hkl 0 0 4, 2θ = 52.76°, rel. 7
- hkl 2 1 2, 2θ = 56.55°, rel. 46
- hkl 1 1 4, 2θ = 62.28°, rel. 17
- hkl 2 2 0, 2θ = 63.90°, rel. 8
- hkl 2 0 4, 2θ = 71.03°, rel. 12
- hkl 3 1 0, 2θ = 72.54°, rel. 11
- hkl 3 0 2, 2θ = 74.26°, rel. 10
- hkl 2 2 4, 2θ = 87.41°, rel. 7
- hkl 1 0 6, 2θ = 87.62°, rel. 7

```
data_CePrTlSn
_cell_length_a 4.121
_cell_length_b 4.121
_cell_length_c 6.940
_cell_angle_alpha 90.00
_cell_angle_beta 90.00
_cell_angle_gamma 90.00
_space_group_name_H-M_alt 'P 4 m m'
_space_group_IT_number 99
loop_
_space_group_symop_operation_xyz
'x,y,z'
'-y,x,z'
'-x,-y,z'
'y,-x,z'
'-x,y,z'
'y,x,z'
'x,-y,z'
'-y,-x,z'
loop_
_atom_site_label
_atom_site_type_symbol
_atom_site_fract_x
_atom_site_fract_y
_atom_site_fract_z
_atom_site_occupancy
Ce1 Ce 0.000 0.000 0.000 1
Pr1 Pr 0.000 0.000 0.479 1
Tl1 Tl 0.500 0.500 0.740 1
Sn1 Sn 0.500 0.500 0.236 1
```

---

No. 2
For SrCe2Pr, a crystal structure in Alexandria, relaxed with GGA-PBE gives the calculated powder diffractogram in this record (CuKα).
Peak positions follow from Bragg's law for the DFT cell and can differ from measured ones.

Most intense lines, 15° ≤ 2θ ≤ 90°, sorted by position:
- hkl 0 0 12, 2θ = 27.51°, rel. 72
- hkl 1 0 1, 2θ = 28.97°, rel. 28
- hkl 0 1 2, 2θ = 29.25°, rel. 100
- hkl 0 1 5, 2θ = 31.13°, rel. 71
- hkl 1 0 7, 2θ = 33.16°, rel. 35
- hkl 1 0 10, 2θ = 37.15°, rel. 91
- hkl 0 1 11, 2θ = 38.69°, rel. 20
- hkl 0 1 17, 2θ = 49.56°, rel. 20
- hkl 1 1 0, 2θ = 51.18°, rel. 45
- hkl 1 1 12, 2θ = 59.09°, rel. 50
- hkl 1 0 22, 2θ = 60.30°, rel. 27
- hkl 0 2 10, 2θ = 64.92°, rel. 18

```
data_SrCe2Pr
_cell_length_a 3.5695
_cell_length_b 3.5695
_cell_length_c 38.9006
_cell_angle_alpha 90.00
_cell_angle_beta 90.00
_cell_angle_gamma 120.00
_space_group_name_H-M_alt 'R -3 m'
_space_group_IT_number 166
_space_group_name_Hall '-R 3 2"'
loop_
_atom_site_label
_atom_site_type_symbol
_atom_site_fract_x
_atom_site_fract_y
_atom_site_fract_z
_atom_site_occupancy
Sr1 Sr 0.0000 0.0000 0.0000 1
Ce1 Ce 0.0000 0.0000 0.0902 1
Pr1 Pr 0.0000 0.0000 0.5000 1
```

---

No. 3
For Tb6CePr10, a crystal structure in Alexandria, relaxed with GGA-PBE gives the calculated powder diffractogram in this record (CuKα).
Peak positions follow from Bragg's law for the DFT cell and can differ from measured ones.

Most intense lines, 15° ≤ 2θ ≤ 90°, sorted by position:
- hkl 2 0 1, 2θ = 24.32°, rel. 9
- hkl 3 -1 1, 2θ = 30.34°, rel. 44
- hkl 3 0 0, 2θ = 31.22°, rel. 79
- hkl 1 1 2, 2θ = 31.32°, rel. 100
- hkl 4 -1 1, 2θ = 39.96°, rel. 10
- hkl 4 -2 2, 2θ = 44.81°, rel. 26
- hkl 3 2 1, 2θ = 47.93°, rel. 14
- hkl 4 -1 3, 2θ = 55.14°, rel. 8
- hkl 4 1 2, 2θ = 55.60°, rel. 24
- hkl 2 -1 4, 2θ = 55.81°, rel. 18
- hkl 6 -2 1, 2θ = 58.32°, rel. 9
- hkl 6 -1 1, 2θ = 61.51°, rel. 11

```
data_Tb6CePr10
_cell_length_a 9.9260
_cell_length_b 9.9260
_cell_length_c 6.9845
_cell_angle_alpha 90.00
_cell_angle_beta 90.00
_cell_angle_gamma 120.00
_space_group_name_H-M_alt 'P -3 1 m'
_space_group_IT_number 162
_space_group_name_Hall '-P 3 2'
loop_
_atom_site_label
_atom_site_type_symbol
_atom_site_fract_x
_atom_site_fract_y
_atom_site_fract_z
_atom_site_occupancy
Tb1 Tb 0.0000 0.3710 0.3080 1